-- Excerpt --
/*
Version a
# PBE CuBiSeO, relaxed
# V   23.3 Å³/atom
# Calculated density   6.56 g/cm3
data_CuBiSeO
_symmetry_space_group_name_H-M 'P m m 2'
_symmetry_Int_Tables_number 25
_cell_length_a 3.2938
_cell_length_b 4.0724
_cell_length_c 6.9336
_cell_angle_alpha 90.00
_cell_angle_beta 90.00
_cell_angle_gamma 90.00
loop_
_symmetry_equiv_pos_as_xyz
'x,y,z'
'-x,-y,z'
'-x,y,z'
'x,-y,z'
loop_
_atom_site_label
_atom_site_type_symbol
_atom_site_fract_x
_atom_site_fract_y
_atom_site_fract_z
Cu1 Cu 0.0000 0.0000 0.0000
Bi1 Bi 0.0000 0.5000 0.5892
Se1 Se 0.0000 0.5000 0.1692
O1 O 0.0000 0.0000 0.7247

Version b
# PBE CuBiSeO, relaxed
# V   17.7 Å³/atom
# Calculated density   8.63 g/cm3
data_CuBiSeO
_symmetry_space_group_name_H-M 'P 4/n m m'
_symmetry_Int_Tables_number 129
_cell_length_a 3.9497
_cell_length_b 3.9497
_cell_length_c 9.0675
_cell_angle_alpha 90.00
_cell_angle_beta 90.00
_cell_angle_gamma 90.00
loop_
_symmetry_equiv_pos_as_xyz
'x,y,z'
'-x,-y,-z'
'-y+1/2,x,z'
'y+1/2,-x,-z'
'-x+1/2,-y+1/2,z'
'x+1/2,y+1/2,-z'
'y,-x+1/2,z'
'-y,x+1/2,-z'
'x+1/2,-y,-z'
'-x+1/2,y,z'
'-y,-x,-z'
'y,x,z'
'-x,y+1/2,-z'
'x,-y+1/2,z'
'y+1/2,x+1/2,-z'
'-y+1/2,-x+1/2,z'
loop_
_atom_site_label
_atom_site_type_symbol
_atom_site_fract_x
_atom_site_fract_y
_atom_site_fract_z
Cu1 Cu 0.2500 0.7500 0.0000
Bi1 Bi 0.2500 0.2500 0.3602
Se1 Se 0.2500 0.2500 0.8272
O1 O 0.2500 0.7500 0.5000

Of them, version b has the highest stability.

Version a
# PBE Sr10Cu5Bi10O29, relaxed
# V   17.2 Å³/atom
# Calculated density   6.72 g/cm3
data_Sr10Cu5Bi10O29
_symmetry_space_group_name_H-M 'P 1'
_symmetry_Int_Tables_number 1
_cell_length_a 5.4238
_cell_length_b 13.9791
_cell_length_c 25.2313
_cell_angle_alpha 81.84
_cell_angle_beta 83.92
_cell_angle_gamma 79.07
loop_
_symmetry_equiv_pos_as_xyz
'x,y,z'
loop_
_atom_site_label
_atom_site_type_symbol
_atom_site_fract_x
_atom_site_fract_y
_atom_site_fract_z
Sr1 Sr 0.0000 0.0000 0.0000
Sr2 Sr 0.9999 0.1948 0.8056
Sr3 Sr 0.1114 0.4136 0.3549
Sr4 Sr 0.1159 0.5925 0.1588
Sr5 Sr 0.1227 0.2059 0.5448
Sr6 Sr 0.1332 0.7620 0.9582
Sr7 Sr 0.1435 0.9827 0.7370
Sr8 Sr 0.4713 0.7460 0.3012
Sr9 Sr 0.4850 0.9143 0.0998
Sr10 Sr 0.4855 0.5262 0.5175
Sr11 Sr 0.4972 0.0918 0.9020
Sr12 Sr 0.5001 0.2979 0.7092
Sr13 Sr 0.6174 0.5068 0.2577
Sr14 Sr 0.6202 0.3135 0.4505
Sr15 Sr 0.6295 0.6750 0.0593
Sr16 Sr 0.6421 0.0937 0.6387
Sr17 Sr 0.6458 0.8701 0.8466
Sr18 Sr 0.9817 0.8318 0.2011
Sr19 Sr 0.9827 0.6383 0.4108
Sr20 Sr 0.9954 0.4141 0.6153
Cu1 Cu 0.0417 0.6291 0.2837
Cu2 Cu 0.0478 0.4287 0.4837
Cu3 Cu 0.0597 0.7953 0.0781
Cu4 Cu 0.0678 0.1942 0.6757
Cu5 Cu 0.0756 0.9743 0.8725
Cu6 Cu 0.5426 0.5330 0.3843
Cu7 Cu 0.5498 0.7130 0.1805
Cu8 Cu 0.5571 0.3122 0.5800
Cu9 Cu 0.5710 0.8779 0.9739
Cu10 Cu 0.5761 0.0783 0.7729
Bi1 Bi 0.2474 0.3202 0.2157
Bi2 Bi 0.2489 0.1348 0.4020
Bi3 Bi 0.2528 0.4861 0.0214
Bi4 Bi 0.2937 0.9115 0.5950
Bi5 Bi 0.3662 0.6372 0.8134
Bi6 Bi 0.3774 0.0217 0.2380
Bi7 Bi 0.3984 0.1861 0.0446
Bi8 Bi 0.4050 0.3682 0.8628
Bi9 Bi 0.4290 0.5996 0.6601
Bi10 Bi 0.4359 0.8376 0.4468
Bi11 Bi 0.6922 0.5720 0.9107
Bi12 Bi 0.7058 0.2310 0.3090
Bi13 Bi 0.7074 0.4040 0.1184
Bi14 Bi 0.7127 0.0300 0.4955
Bi15 Bi 0.7570 0.7923 0.6989
Bi16 Bi 0.7784 0.9260 0.3533
Bi17 Bi 0.8509 0.1034 0.1413
Bi18 Bi 0.8686 0.2756 0.9501
Bi19 Bi 0.8777 0.4836 0.7598
Bi20 Bi 0.8840 0.7136 0.5563
O1 O 0.0132 0.5886 0.5207
O2 O 0.1277 0.2653 0.4355
O3 O 0.1284 0.4533 0.2471
O4 O 0.1321 0.6226 0.0485
O5 O 0.1476 0.0410 0.6272
O6 O 0.2935 0.5864 0.3347
O7 O 0.2940 0.6697 0.2316
O8 O 0.2957 0.4782 0.4322
O9 O 0.3024 0.5621 0.9390
O10 O 0.3043 0.2356 0.3102
O11 O 0.3044 0.3692 0.5314
O12 O 0.3058 0.7519 0.1286
O13 O 0.3069 0.4023 0.1290
O14 O 0.3095 0.0498 0.4883
O15 O 0.3115 0.2535 0.6278
O16 O 0.3157 0.8350 0.0257
O17 O 0.3255 0.0193 0.8204
O18 O 0.3248 0.9232 0.9217
O19 O 0.3275 0.1367 0.7231
O20 O 0.3755 0.8377 0.6766
O21 O 0.4186 0.8870 0.2087
O22 O 0.4244 0.9454 0.3176
O23 O 0.4336 0.4656 0.6335
O24 O 0.4411 0.0560 0.0102
O25 O 0.4436 0.2479 0.8207
O26 O 0.4550 0.5048 0.7714
*/

-- Job --
Could you transcribe all of the calculation results earlier on word for word?

-- Result --
Version a
# PBE CuBiSeO, relaxed
# V   23.3 Å³/atom
# Calculated density   6.56 g/cm3
data_CuBiSeO
_symmetry_space_group_name_H-M 'P m m 2'
_symmetry_Int_Tables_number 25
_cell_length_a 3.2938
_cell_length_b 4.0724
_cell_length_c 6.9336
_cell_angle_alpha 90.00
_cell_angle_beta 90.00
_cell_angle_gamma 90.00
loop_
_symmetry_equiv_pos_as_xyz
'x,y,z'
'-x,-y,z'
'-x,y,z'
'x,-y,z'
loop_
_atom_site_label
_atom_site_type_symbol
_atom_site_fract_x
_atom_site_fract_y
_atom_site_fract_z
Cu1 Cu 0.0000 0.0000 0.0000
Bi1 Bi 0.0000 0.5000 0.5892
Se1 Se 0.0000 0.5000 0.1692
O1 O 0.0000 0.0000 0.7247

Version b
# PBE CuBiSeO, relaxed
# V   17.7 Å³/atom
# Calculated density   8.63 g/cm3
data_CuBiSeO
_symmetry_space_group_name_H-M 'P 4/n m m'
_symmetry_Int_Tables_number 129
_cell_length_a 3.9497
_cell_length_b 3.9497
_cell_length_c 9.0675
_cell_angle_alpha 90.00
_cell_angle_beta 90.00
_cell_angle_gamma 90.00
loop_
_symmetry_equiv_pos_as_xyz
'x,y,z'
'-x,-y,-z'
'-y+1/2,x,z'
'y+1/2,-x,-z'
'-x+1/2,-y+1/2,z'
'x+1/2,y+1/2,-z'
'y,-x+1/2,z'
'-y,x+1/2,-z'
'x+1/2,-y,-z'
'-x+1/2,y,z'
'-y,-x,-z'
'y,x,z'
'-x,y+1/2,-z'
'x,-y+1/2,z'
'y+1/2,x+1/2,-z'
'-y+1/2,-x+1/2,z'
loop_
_atom_site_label
_atom_site_type_symbol
_atom_site_fract_x
_atom_site_fract_y
_atom_site_fract_z
Cu1 Cu 0.2500 0.7500 0.0000
Bi1 Bi 0.2500 0.2500 0.3602
Se1 Se 0.2500 0.2500 0.8272
O1 O 0.2500 0.7500 0.5000

Of them, version b has the highest stability.

Version a
# PBE Sr10Cu5Bi10O29, relaxed
# V   17.2 Å³/atom
# Calculated density   6.72 g/cm3
data_Sr10Cu5Bi10O29
_symmetry_space_group_name_H-M 'P 1'
_symmetry_Int_Tables_number 1
_cell_length_a 5.4238
_cell_length_b 13.9791
_cell_length_c 25.2313
_cell_angle_alpha 81.84
_cell_angle_beta 83.92
_cell_angle_gamma 79.07
loop_
_symmetry_equiv_pos_as_xyz
'x,y,z'
loop_
_atom_site_label
_atom_site_type_symbol
_atom_site_fract_x
_atom_site_fract_y
_atom_site_fract_z
Sr1 Sr 0.0000 0.0000 0.0000
Sr2 Sr 0.9999 0.1948 0.8056
Sr3 Sr 0.1114 0.4136 0.3549
Sr4 Sr 0.1159 0.5925 0.1588
Sr5 Sr 0.1227 0.2059 0.5448
Sr6 Sr 0.1332 0.7620 0.9582
Sr7 Sr 0.1435 0.9827 0.7370
Sr8 Sr 0.4713 0.7460 0.3012
Sr9 Sr 0.4850 0.9143 0.0998
Sr10 Sr 0.4855 0.5262 0.5175
Sr11 Sr 0.4972 0.0918 0.9020
Sr12 Sr 0.5001 0.2979 0.7092
Sr13 Sr 0.6174 0.5068 0.2577
Sr14 Sr 0.6202 0.3135 0.4505
Sr15 Sr 0.6295 0.6750 0.0593
Sr16 Sr 0.6421 0.0937 0.6387
Sr17 Sr 0.6458 0.8701 0.8466
Sr18 Sr 0.9817 0.8318 0.2011
Sr19 Sr 0.9827 0.6383 0.4108
Sr20 Sr 0.9954 0.4141 0.6153
Cu1 Cu 0.0417 0.6291 0.2837
Cu2 Cu 0.0478 0.4287 0.4837
Cu3 Cu 0.0597 0.7953 0.0781
Cu4 Cu 0.0678 0.1942 0.6757
Cu5 Cu 0.0756 0.9743 0.8725
Cu6 Cu 0.5426 0.5330 0.3843
Cu7 Cu 0.5498 0.7130 0.1805
Cu8 Cu 0.5571 0.3122 0.5800
Cu9 Cu 0.5710 0.8779 0.9739
Cu10 Cu 0.5761 0.0783 0.7729
Bi1 Bi 0.2474 0.3202 0.2157
Bi2 Bi 0.2489 0.1348 0.4020
Bi3 Bi 0.2528 0.4861 0.0214
Bi4 Bi 0.2937 0.9115 0.5950
Bi5 Bi 0.3662 0.6372 0.8134
Bi6 Bi 0.3774 0.0217 0.2380
Bi7 Bi 0.3984 0.1861 0.0446
Bi8 Bi 0.4050 0.3682 0.8628
Bi9 Bi 0.4290 0.5996 0.6601
Bi10 Bi 0.4359 0.8376 0.4468
Bi11 Bi 0.6922 0.5720 0.9107
Bi12 Bi 0.7058 0.2310 0.3090
Bi13 Bi 0.7074 0.4040 0.1184
Bi14 Bi 0.7127 0.0300 0.4955
Bi15 Bi 0.7570 0.7923 0.6989
Bi16 Bi 0.7784 0.9260 0.3533
Bi17 Bi 0.8509 0.1034 0.1413
Bi18 Bi 0.8686 0.2756 0.9501
Bi19 Bi 0.8777 0.4836 0.7598
Bi20 Bi 0.8840 0.7136 0.5563
O1 O 0.0132 0.5886 0.5207
O2 O 0.1277 0.2653 0.4355
O3 O 0.1284 0.4533 0.2471
O4 O 0.1321 0.6226 0.0485
O5 O 0.1476 0.0410 0.6272
O6 O 0.2935 0.5864 0.3347
O7 O 0.2940 0.6697 0.2316
O8 O 0.2957 0.4782 0.4322
O9 O 0.3024 0.5621 0.9390
O10 O 0.3043 0.2356 0.3102
O11 O 0.3044 0.3692 0.5314
O12 O 0.3058 0.7519 0.1286
O13 O 0.3069 0.4023 0.1290
O14 O 0.3095 0.0498 0.4883
O15 O 0.3115 0.2535 0.6278
O16 O 0.3157 0.8350 0.0257
O17 O 0.3255 0.0193 0.8204
O18 O 0.3248 0.9232 0.9217
O19 O 0.3275 0.1367 0.7231
O20 O 0.3755 0.8377 0.6766
O21 O 0.4186 0.8870 0.2087
O22 O 0.4244 0.9454 0.3176
O23 O 0.4336 0.4656 0.6335
O24 O 0.4411 0.0560 0.0102
O25 O 0.4436 0.2479 0.8207
O26 O 0.4550 0.5048 0.7714